For SrMg6Ni, a crystal structure in the Materials Project, relaxed with PBE gives the simulated powder XRD pattern in this record (a wavelength of 1.5418 Å).
Intensities are scaled so that the largest is 100.

Largest 6 diffraction maxima, in order of falling intensity, 5° ≤ 2θ ≤ 70°:
- 37.25°, d = 2.414 Å, intensity 100.0, (1 2 2)
- 30.93°, d = 2.891 Å, intensity 88.8, (1 1 3)
- 15.47°, d = 5.728 Å, intensity 78.7, (0 1 1)
- 40.21°, d = 2.243 Å, intensity 47.1, (2 0 0)
- 23.45°, d = 3.794 Å, intensity 46.3, (1 0 2)
- 34.61°, d = 2.592 Å, intensity 45.0, (0 1 5)

Cell and atoms:
abc: 4.4852 6.2564 14.2376
angles: 90.00 90.00 90.00
Fractional coordinates of all 16 atoms:
Sr (0.0000, 0.0000, 0.0000)
Sr (0.0000, 0.5000, 0.5000)
Mg (0.0000, 0.0000, 0.4153)
Mg (0.0000, 0.2429, 0.2040)
Mg (0.0000, 0.2571, 0.7040)
Mg (0.0000, 0.5000, 0.9153)
Mg (0.0000, 0.7429, 0.7040)
Mg (0.0000, 0.7571, 0.2040)
Mg (0.5000, 0.0000, 0.5869)
Mg (0.5000, 0.2464, 0.8331)
Mg (0.5000, 0.2536, 0.3331)
Mg (0.5000, 0.5000, 0.0869)
Mg (0.5000, 0.7464, 0.3331)
Mg (0.5000, 0.7536, 0.8331)
Ni (0.5000, 0.0000, 0.1776)
Ni (0.5000, 0.5000, 0.6776)

Please reproduce the whole of the data further up without additions.

For SrMg6Ni, a crystal structure in the Materials Project, relaxed with PBE gives the simulated powder XRD pattern in this record (a wavelength of 1.5418 Å).
Intensities are scaled so that the largest is 100.

Largest 6 diffraction maxima, in order of falling intensity, 5° ≤ 2θ ≤ 70°:
- 37.25°, d = 2.414 Å, intensity 100.0, (1 2 2)
- 30.93°, d = 2.891 Å, intensity 88.8, (1 1 3)
- 15.47°, d = 5.728 Å, intensity 78.7, (0 1 1)
- 40.21°, d = 2.243 Å, intensity 47.1, (2 0 0)
- 23.45°, d = 3.794 Å, intensity 46.3, (1 0 2)
- 34.61°, d = 2.592 Å, intensity 45.0, (0 1 5)

Cell and atoms:
abc: 4.4852 6.2564 14.2376
angles: 90.00 90.00 90.00
Fractional coordinates of all 16 atoms:
Sr (0.0000, 0.0000, 0.0000)
Sr (0.0000, 0.5000, 0.5000)
Mg (0.0000, 0.0000, 0.4153)
Mg (0.0000, 0.2429, 0.2040)
Mg (0.0000, 0.2571, 0.7040)
Mg (0.0000, 0.5000, 0.9153)
Mg (0.0000, 0.7429, 0.7040)
Mg (0.0000, 0.7571, 0.2040)
Mg (0.5000, 0.0000, 0.5869)
Mg (0.5000, 0.2464, 0.8331)
Mg (0.5000, 0.2536, 0.3331)
Mg (0.5000, 0.5000, 0.0869)
Mg (0.5000, 0.7464, 0.3331)
Mg (0.5000, 0.7536, 0.8331)
Ni (0.5000, 0.0000, 0.1776)
Ni (0.5000, 0.5000, 0.6776)